Summary: He could bend and twist her wildest dreams – make a mere fantasy a reality. All she has to do... is ask.

Disclaimer: I own nothing but the story.

[Someone pasted data records at this point]
-- begin --
Record 1
Entry from OMol25: the ion C4H8NO2 with charge +1 at a distorted geometry (ωB97M-V/def2-TZVPD).

Last column: natural (NBO) charge in e.
Geometry (Å):
C 2.4462 0.1452 0.0117  0.358
C 1.0842 -0.6264 0.1158  0.500
C -0.9517 0.9949 0.8481  -0.654
C -0.3523 0.2020 -0.2166  -0.148
N -1.3233 -0.8629 -0.6841  -0.688
O 2.6014 0.5275 -1.1219  -0.426
O 0.9687 -1.8249 0.1146  -0.510
H 3.0196 0.1771 0.9256  0.182
H -1.1067 0.3569 1.6871  0.227
H -0.2971 1.8980 1.2263  0.276
H -1.8170 1.4647 0.4371  0.239
H 0.0940 0.8339 -0.9680  0.258
H -0.8450 -1.6113 -1.2389  0.469
H -1.8933 -0.3377 -1.3017  0.456
H -1.6279 -1.3370 0.1648  0.463

## Properties
Energy relative to the best compared isomer or geometry (same formula, charge and spin), kcal/mol: 56.5
Maximum force, eV/A: 4.8
E_tot, hartree: -362.12338
Total charge: +1

***

Record 2
Entry from OMol25: a structure of composition C41H46As2CoN3O2P at a distorted geometry (ωB97M-V/def2-TZVPD).

Last column: Löwdin spin population.
Geometry (Å):
Co -0.6689 0.2440 0.3191  2.691
C -4.0961 2.9423 -0.2645  0.003
C -3.0210 1.9816 -0.6763  0.029
O -2.0212 1.8820 0.0709  0.085
C -3.1815 1.2144 -1.8805  0.102
C -4.3056 1.3790 -2.7085  0.059
C -4.4849 0.6110 -3.8354  0.221
C -3.5257 -0.3432 -4.1942  -0.018
C -2.4016 -0.5147 -3.4321  0.171
C -2.1816 0.2444 -2.2512  0.083
O -1.1209 0.0189 -1.5648  0.326
H -3.8125 3.4453 0.6577  0.000
H -5.0311 2.4109 -0.1007  0.001
H -4.2673 3.6888 -1.0366  0.000
H -5.0425 2.1281 -2.4625  0.000
H -5.3634 0.7418 -4.4445  0.009
H -3.6702 -0.9497 -5.0750  -0.004
H -1.6476 -1.2392 -3.6999  0.006
C -2.2005 -2.3141 2.7286  0.018
As -1.8596 -1.8339 0.8574  0.046
C -3.6405 -2.1582 0.1178  0.008
C -0.7858 -3.3166 0.0298  0.004
C -1.3960 -4.6698 0.0662  0.001
C -2.1972 -5.1227 -0.9914  0.001
C -2.6271 -6.4331 -1.0353  0.000
C -2.2935 -7.3107 -0.0058  0.001
C -1.5356 -6.8619 1.0723  0.000
C -1.1027 -5.5515 1.1156  0.001
H -2.5775 -3.3338 2.8142  0.003
H -2.9642 -1.6329 3.1133  0.000
H -1.3057 -2.2109 3.3416  0.000
H -3.9278 -3.1962 0.3036  0.002
H -3.6691 -1.9676 -0.9553  0.001
H -4.3659 -1.5073 0.6103  0.000
H 0.1873 -3.3103 0.5350  0.000
H -0.6491 -2.9764 -1.0036  0.000
H -2.4490 -4.4438 -1.7965  0.000
H -3.2208 -6.7855 -1.8642  0.000
H -2.6378 -8.3322 -0.0348  0.000
H -1.2863 -7.5445 1.8694  0.000
H -0.5013 -5.2029 1.9452  0.000
C 4.4922 -4.1310 -1.7655  0.002
C 4.8713 -3.2607 -0.7548  0.001
C 4.0295 -2.2312 -0.3636  0.003
C 2.8155 -2.0563 -1.0150  0.015
C 2.4258 -2.9348 -2.0201  0.002
C 3.2737 -3.9592 -2.4064  0.000
As 1.6844 -0.4761 -0.6620  0.043
C 2.9623 0.7230 0.1581  0.005
C 3.4398 0.6482 1.4557  0.001
C 4.4086 1.5483 1.8847  0.000
C 4.8611 2.5350 1.0187  0.001
C 4.3784 2.6241 -0.2786  0.000
C 3.4313 1.7080 -0.7352  0.002
C 2.8760 1.6106 -2.0869  0.002
C 3.1896 2.4269 -3.1727  0.000
C 2.6443 2.1665 -4.4196  0.002
C 1.7905 1.0899 -4.6102  0.000
C 1.4505 0.2807 -3.5346  0.002
C 1.9796 0.5388 -2.2854  0.007
H 5.1414 -4.9468 -2.0473  0.000
H 5.8282 -3.3722 -0.2672  0.000
-- stop --

"You're in my realm, my dear sweet chrome." His light hearted laughs resonated in the air. "In this world, normal rules don't apply – you get to do everything you want."

"So tell, me dear chrome – what is your deepest desire?"

At this, she caught her voice in her throat – what was this feeling that was surging in her? hope, fear?

She didn't dare – wouldn't dare to wish a certain thing only he could grant.

"I… n-nothing…"

"Oh? But surely, there's something that you would want – every human live solely for the fact they have something they desire."

=====
# 1
A molecular structure, C18H32PtS3Sb2. Source: the OMol25 dataset; level of theory: the ωB97M-V functional and the def2-TZVPD basis.

Computed properties:
- HOMO-LUMO gap: 5.745 eV
- HOMO energy: -13.7 eV
- Total energy: -67997.742 eV

The geometry in ORCA input format:
```
! wB97M-V def2-TZVPD RIJCOSX def2/J DEFGRID3
* xyz 2 1
Pt -0.6540 -0.8555 0.0999
C -1.0157 -2.1602 4.5487
C -2.3259 -1.6704 3.9262
S -2.3696 -1.1002 2.1758
C -2.9678 -2.5357 1.2260
C -1.9959 -3.6917 1.1292
S -0.3389 -3.2374 0.5107
C 0.7241 -2.8473 1.9749
C 0.7871 -3.8730 3.0921
S -0.6324 -3.9187 4.2435
H -1.1232 -2.0914 5.6310
H -0.1689 -1.5386 4.2638
H -2.6487 -0.7780 4.4638
H -3.1097 -2.4224 4.0112
H -3.1742 -2.1219 0.2380
H -3.9118 -2.8695 1.6601
H -2.3733 -4.4288 0.4176
H -1.8520 -4.1855 2.0851
H 0.4484 -1.8709 2.3575
H 1.7119 -2.7674 1.5163
H 1.6746 -3.6739 3.6917
H 0.8598 -4.8895 2.7031
C 2.3733 -1.8558 -3.4150
Sb 1.0115 -0.8881 -2.0639
C 2.5006 0.1271 -0.9000
C 0.2199 0.6920 -3.4008
C 0.9455 1.9504 -3.1352
C 2.2085 2.1518 -3.7027
C 2.9451 3.2901 -3.4436
C 2.4289 4.2589 -2.5907
C 1.1754 4.0831 -2.0342
C 0.4084 2.9464 -2.3009
C -0.9692 2.8600 -1.7425
Sb -1.1463 1.6663 0.0816
C -3.1100 2.2664 0.6512
C 0.0716 2.8108 1.4035
H 3.1399 -1.1113 -3.6210
H 1.8540 -2.1500 -4.3231
H 2.8158 -2.7296 -2.9425
H 3.0696 0.8101 -1.5306
H 3.1761 -0.6178 -0.4779
H 2.0280 0.6780 -0.0910
H -0.8499 0.7296 -3.2203
H 0.4134 0.2800 -4.3905
H 2.6006 1.3979 -4.3779
H 3.9106 3.4351 -3.9091
H 2.9929 5.1592 -2.3878
H 0.7573 4.8592 -1.4032
H -1.7042 2.4459 -2.4315
H -1.3135 3.8372 -1.4066
H -3.1299 3.3530 0.7063
H -3.3567 1.8445 1.6231
H -3.8356 1.9235 -0.0835
H -0.3120 3.8286 1.4427
H 1.1017 2.8232 1.0521
H 0.0346 2.3724 2.3992
*
```

Atomic partial charges in e from the Mulliken method, atoms 1 to 6:
1. Pt 0.580
2. C -0.780
3. C -0.844
4. S 0.157
5. C -1.068
6. C -0.306

# 2
A molecular structure, C28H36Cl5N4O5P2S3W. Source: the OMol25 dataset; level of theory: the ωB97M-V functional and the def2-TZVPD basis.

Computed properties:
- HOMO-LUMO gap (spin up / spin down): 6.763 / 7.839 eV
- ⟨S²⟩: 3.770
- Relative energy (zero: lowest compared OMol25 entry of this formula, charge and spin): 1.5136 eV
- HOMO energy (spin up / spin down): -6.6 / -7.9 eV
- Total energy: -161339.983 eV

The geometry in ORCA input format:
```
! wB97M-V def2-TZVPD RIJCOSX def2/J DEFGRID3
* xyz 0 4
W -0.4870 0.3441 0.0623
O 1.1270 0.5788 1.4327
N 2.3766 0.8226 1.0666
C 3.2821 1.0185 2.0505
C 4.5673 1.3880 1.7701
C 4.9513 1.5347 0.4337
C 4.0344 1.2733 -0.5539
C 2.7106 0.9217 -0.2464
S 1.5446 0.5901 -1.4558
H 2.8975 0.8734 3.0490
H 5.2611 1.5485 2.5819
H 5.9568 1.8440 0.1829
H 4.2979 1.3292 -1.5999
Cl -3.8957 0.7528 0.2939
C -3.3633 0.2522 -1.2777
C -2.0176 -0.1609 -1.4075
C -1.7716 -0.8041 -2.6375
Cl -0.2682 -1.6489 -2.8272
C -2.6755 -0.8539 -3.6944
Cl -2.2487 -1.6079 -5.1836
C -3.9385 -0.2957 -3.5428
Cl -5.0510 -0.2698 -4.8561
C -4.2981 0.2182 -2.3036
Cl -5.8944 0.8215 -2.0534
C 3.8993 -2.9334 1.0194
P 2.2114 -2.6243 0.3265
=====
# End of the calculated molecules

Her weak nature, the willingness to obey without even questioning his motives – or not asking anything in return. It irked him. Oh yes, her innocence, her purity the very essence that made her Nagi – he should, by all damn logical reason, be REPELLED but it made him more enthralled and captivated.

**Calculated molecules, as found in the file:**
┌──
{"formula": "C26H20BBrN11OSSeW", "method": "wB97M-V/def2-TZVPD", "energy_ev": -194448.0535, "total_charge": 1, "orbital_gap_ev": [4.540, 4.774], "species": ["W", "C", "C", "N", "N", "C", "B", "N", "C", "C", "C", "N", "N", "C", "C", "C", "N", "H", "H", "H", "H", "H", "H", "H", "H", "H", "H", "S", "N", "C", "C", "C", "C", "C", "N", "C", "C", "N", "C", "C", "C", "C", "C", "N", "H", "H", "H", "H", "H", "H", "O", "C", "C", "C", "N", "C", "Br", "C", "H", "H", "H", "H", "Se"], "coordinates": [[0.581611, -0.039760, -0.503306], [1.467411, -2.097460, -4.372906], [1.233311, -0.967460, -3.601706], [0.847211, -1.324560, -2.364906], [0.839411, -2.682360, -2.337706], [1.206911, -3.161060, -3.529606], [0.621311, -3.443460, -1.026206], [-0.685389, -2.921660, -0.390706], [-1.756689, -3.596860, 0.030394], [-2.676689, -2.692660, 0.536394], [-2.075189, -1.455160, 0.383194], [-0.866189, -1.599160, -0.187006], [1.788611, -2.985060, -0.129806], [2.838611, -3.666260, 0.345694], [3.761011, -2.762860, 0.840394], [3.188111, -1.517060, 0.624194], [1.992811, -1.657960, 0.034194], [1.794811, -2.135560, -5.388206], [1.343211, 0.068840, -3.874106], [1.279511, -4.213960, -3.707906], [0.606211, -4.608860, -1.175306], [-1.812589, -4.663560, -0.045206], [-3.636689, -2.904360, 0.953994], [-2.440589, -0.480860, 0.664994], [2.864111, -4.735960, 0.308894], [4.715111, -2.957660, 1.280994], [3.593611, -0.540460, 0.834294], [0.248611, 3.990840, 6.024194], [0.062311, 4.418340, 4.483394], [0.130511, 3.331140, 3.716494], [-0.007589, 3.272740, 2.314194], [-0.332989, 4.365740, 1.474794], [-0.494689, 4.171540, 0.147694], [-0.293889, 2.849740, -0.499806], [0.117911, 1.776940, 0.374394], [0.168511, 1.999340, 1.708094], [0.385011, 0.829740, 2.472694], [0.461511, -0.333260, 1.717994], [0.469811, -1.486360, 2.458794], [0.448311, -1.526460, 3.827894], [0.460811, -0.347160, 4.579394], [0.421411, 0.851940, 3.884294], [0.348911, 2.143740, 4.497794], [0.418011, 2.398140, 5.791694], [-0.434589, 5.336840, 1.933294], [-0.714489, 4.998340, -0.505506], [0.446111, 2.968040, -1.318106], [0.446511, -2.426060, 1.915294], [0.407811, -2.483060, 4.322694], [0.467011, -0.352460, 5.654994], [-2.855789, 3.373540, -4.530906], [-2.418789, 2.647040, -3.498906], [-2.114289, 3.111640, -2.266906], [-1.588189, 2.222740, -1.198606], [-1.192089, 0.854240, -1.609106], [-1.803489, 0.452940, -2.753506], [-2.068189, -1.431060, -3.012106], [-2.368189, 1.227340, -3.708306], [-2.876689, 4.320140, -4.341106], [-2.270989, 4.140540, -1.987806], [-2.324489, 2.140240, -0.370706], [-2.816189, 0.810440, -4.594106], [2.453611, 1.125140, -1.307606]], "forces_ev_per_angstrom": [[-0.639, 1.687, -0.583], [-0.139, 0.066, 0.261], [-0.061, -0.145, 0.324], [0.368, 0.359, -0.132], [-0.178, 0.144, -0.026], [-0.006, 0.416, -0.089], [-0.118, 0.692, -0.048], [0.114, -0.167, -0.022], [-0.087, 0.331, 0.011], [0.230, 0.106, -0.033], [0.188, -0.008, -0.025], [-0.573, -0.870, 0.341], [-0.027, 0.040, 0.216], [-0.025, 0.345, 0.055], [-0.219, 0.144, 0.025], [-0.003, -0.085, -0.120], [0.442, -0.047, 0.065], [0.045, -0.003, -0.284], [-0.090, 0.005, 0.078], [-0.033, -0.267, 0.054], [-0.009, -0.405, -0.022], [0.082, -0.234, -0.093], [-0.254, -0.046, 0.080], [0.021, 0.045, -0.117], [-0.030, -0.240, -0.119], [0.197, -0.119, 0.102], [-0.109, -0.025, 0.027], [-0.009, -0.688, -0.961], [-0.108, 0.429, -0.365], [0.188, -0.138, 1.501], [0.180, -1.762, -1.226], [-0.175, 0.552, -0.884], [0.172, -0.171, 0.842], [-0.974, -0.408, -1.095], [-0.050, -0.843, 0.220], [-0.006, 1.091, 0.157], [0.112, -1.194, -0.174], [0.143, 1.054, 1.861], [-0.093, 0.366, -1.343], [0.012, 0.507, 0.670], [-0.015, -0.209, -0.806], [0.048, -0.581, -0.375], [-0.212, 1.149, 0.342], [0.131, -0.379, 0.439], [-0.064, 0.147, -0.066], [-0.109, 0.130, -0.091], [-0.053, -0.114, 0.273], [0.123, 0.242, -0.088], [0.072, -0.119, -0.024], [0.001, -0.004, 0.208], [-0.262, 0.230, -0.669], [0.426, 0.405, 1.644], [0.085, 0.060, -0.929], [0.665, 0.449, 1.062], [1.584, -0.203, 0.672], [-0.313, -0.513, -0.762], [-0.344, 0.053, -0.314], [0.345, -0.556, 0.095], [0.049, -0.177, 0.178], [-0.001, 0.267, -0.101], [0.029, -0.022, -0.070], [-0.125, -0.135, 0.062], [-0.541, -0.637, 0.195]], "mulliken_charge": [0.25, -1.19, -0.33, 0.36, 0.33, -0.32, -0.43, 0.39, -0.55, -1.25, -0.40, 0.75, 0.17, -0.28, -1.34, -0.15, 0.38, 0.47, 0.54, 0.49, -0.07, 0.51, 0.53, 0.46, 0.50, 0.49, 0.49, 0.20, -0.68, 0.79, 0.39, -1.21, -0.73, 0.09, 0.69, 0.18, -0.38, 0.37, -0.15, -1.13, -0.69, 0.45, 0.85, -0.70, 0.56, 0.55, -0.07, 0.26, 0.49, 0.57, -0.55, 0.74, -1.23, 0.29, 0.09, 0.12, -0.12, -0.84, 0.30, 0.44, 0.07, 0.49, -0.30]}
└──

Her eyes were starting to brim with tears as she stared back at him – "It's okay, mukuro –sama –"

he knew she was weird. Every woman he encountered in the past always longed for something in exchange. But chrome wasn't a typical woman – she had long given everything she had – even at the cost of her life and she doesn't ask anything in return?

His patience was wearing thin –" You told me everything before – why would you hide anything from me now Nagi?"

He can seen it in her eyes, a slight shimmer when he told her to ask anything from him. There must be something this girl would want – however, she tried to lower her head. Something in him snapped. He roughly tipped her chin so she could face him even if it's against her will.

"I've been your savior – I helped you survive all these years. Heck, I've created a new life for you! What makes you think I can't give you anything? Haven't I been your everything?!"

"Yes ! Everything!" She cried. "You were- and you still are." Fresh tears slowly rolled down the smooth curve of her cheeks. "But- "

His large hands were now cupping her face. He urged her to continue "I'm – a-afraid... I might lose you if – if I asked for too much."

There she said it. And his deafening silence is more than she could bear. After what felt like forever, he found his voice

" are you implying… you want me, Nagi?"

She turned her head sideways… "More than anything"




Reality? He never knew much the meaning of that word – but in this realm, he can bend her wildest imagination into something real.

He can smell her scent through the breeze- Warm, and innocent and pure – so beguiling it was almost seductive. He didn't care if it was an illusion –even if it would be just a fleeting moment. Chrome deserves more – and he was intent in offering her bliss he knew wouldn't exist in the real world.

"Then tell me, dear sweet Nagi..." His voice was barely a whisper as he hovered painfully close to her ear.

" What. Would. You. Have. Me. Do?"

author's note: arghh... should i continue or not?